Tuesday, July 28, 2015

Unrelated to this piece: data records:
(1)
FeP3O9, relaxed, DFT PBE+U; SG = No. 56; crystal system = orthorhombic; distance to the lowest polymorph of the same formula = 161 meV per atom; calculated formation energy = -2.318 eV per atom
1.0
6.3703 0.0000 0.0000
0.0000 9.9515 0.0000
0.0000 0.0000 10.9960
O P Fe
36 12 4
direct
0.7573 0.5822 0.0973
0.2427 0.9178 0.5973
0.4079 0.6853 0.3099
0.7427 0.5822 0.4027
0.3859 0.1837 0.5371
0.4079 0.1853 0.1901
0.2573 0.9178 0.9027
0.9079 0.8147 0.6901
0.1501 0.9969 0.1534
0.2573 0.4178 0.5973
0.6501 0.5031 0.8466
0.6141 0.3163 0.0371
0.7573 0.0822 0.4027
0.1141 0.6837 0.5371
0.8499 0.0031 0.8466
0.8859 0.8163 0.0371
0.8499 0.5031 0.6534
0.2500 0.7205 0.7500
0.1141 0.1837 0.9629
0.5921 0.8147 0.8099
0.1501 0.4969 0.3466
0.8859 0.3163 0.4629
0.6141 0.8163 0.4629
0.0921 0.1853 0.3099
0.2427 0.4178 0.9027
0.7500 0.2795 0.2500
0.7427 0.0822 0.0973
0.9079 0.3147 0.8099
0.3499 0.4969 0.1534
0.3499 0.9969 0.3466
0.2500 0.2205 0.7500
0.3859 0.6837 0.9629
0.6501 0.0031 0.6534
0.5921 0.3147 0.6901
0.7500 0.7795 0.2500
0.0921 0.6853 0.1901
0.6372 0.2106 0.1339
0.3628 0.7894 0.8661
0.1372 0.2894 0.8661
0.7500 0.4187 0.7500
0.1372 0.7894 0.6339
0.3628 0.2894 0.6339
0.2500 0.0813 0.2500
0.2500 0.5813 0.2500
0.7500 0.9187 0.7500
0.6372 0.7106 0.3661
0.8628 0.7106 0.1339
0.8628 0.2106 0.3661
0.0000 0.5000 0.5000
0.0000 0.0000 0.0000
0.5000 0.5000 0.0000
0.5000 0.0000 0.5000

---

(2)
RbMnCl3O2, relaxed, DFT PBE+U; SG = No. 54; crystal system = orthorhombic; distance to the lowest polymorph of the same formula = 0 meV per atom; calculated formation energy = -1.094 eV per atom
1.0
7.0503 0.0000 0.0000
0.0000 9.2917 0.0000
0.0000 0.0000 11.1348
O Mn Rb Cl
8 4 4 12
direct
0.2792 0.5294 0.8032
0.7208 0.5294 0.3032
0.2792 0.0294 0.1968
0.2792 0.4706 0.6968
0.7208 0.0294 0.6968
0.7208 0.4706 0.1968
0.2792 0.9706 0.3032
0.7208 0.9706 0.8032
0.5587 0.5000 0.7500
0.4413 0.5000 0.2500
0.4413 0.0000 0.7500
0.5587 0.0000 0.2500
0.0000 0.2500 0.8640
0.0000 0.7500 0.1360
0.0000 0.2500 0.3640
0.0000 0.7500 0.6360
0.7724 0.4214 0.6072
0.7724 0.0786 0.1072
0.5000 0.2500 0.8480
0.2276 0.0786 0.6072
0.7724 0.5786 0.8928
0.2276 0.9214 0.8928
0.2276 0.4214 0.1072
0.5000 0.7500 0.1520
0.7724 0.9214 0.3928
0.5000 0.2500 0.3480
0.2276 0.5786 0.3928
0.5000 0.7500 0.6520

---

(3)
Mn13Cu11O32, relaxed, DFT PBE+U; SG = No. 12; crystal system = monoclinic; calculated formation energy = -1.528 eV per atom
1.0
2.9590 5.2571 0.0000
-2.9590 5.2571 0.0000
0.0000 2.5464 19.5169
O Mn Cu
32 13 11
direct
0.7784 0.3186 0.5691
0.7246 0.1853 0.9340
0.6812 0.6812 0.4316
0.2216 0.6814 0.4309
0.5644 0.0231 0.8166
0.9345 0.9345 0.1798
0.0231 0.5644 0.8166
0.6814 0.2216 0.4309
0.5685 0.5685 0.8191
0.9769 0.4356 0.1834
0.3154 0.3154 0.0694
0.6846 0.6846 0.9306
0.1817 0.1817 0.4321
0.0715 0.5231 0.3174
0.4769 0.9285 0.6826
0.1804 0.1804 0.9326
0.8147 0.2754 0.0660
0.0655 0.0655 0.8202
0.5675 0.5675 0.3193
0.2754 0.8147 0.0660
0.3188 0.3188 0.5684
0.9302 0.9302 0.6816
0.9285 0.4769 0.6826
0.4356 0.9769 0.1834
Here the piece continues:

TBAI Gallery Piece - 2015

Meet Madame Zola – Gypsy Fortune Teller. She is my gallery piece for TBAI this year. The theme is “On the Road” and this little gypsy fortune teller is always on the road setting up shop in the nearest tree stump when she decides to stop for a spell.


Her space is decorated with all kinds of things that a fortune teller would find essential. Mood lighting of blue stars and


lots and lots of charms and other things dangle from the ceiling for an ‘other worldly’ effect.


She tells fortunes by reading palms, tarot cards, tea leaves and peering into a crystal ball. (One of my favorite images is this one in which the lights from above are reflected in the crystal ball.)


Madame Zola will even use the ubiquitous fortune cookie if necessary. (My daughter made the fortune cookies at my request and they are exceptional – and very, very tiny!)

## Calculated crystals from another source follow
'''
This record from the Materials Project database describes a relaxed structure of Sm3Hg. The functional is r2SCAN.

Lattice parameters (Å, degrees): 4.7517 4.7517 10.1077 90.00 90.00 90.00
Space group I4/mmm (No. 139)
Asymmetric unit:
Sm 0.0000 0.0000 0.0000 (multiplicity 2)
Sm 0.0000 0.5000 0.2500 (multiplicity 4)
Hg 0.0000 0.0000 0.5000 (multiplicity 2)

Computed properties:
**E above lowest polymorph**: 25.6 meV per atom
**Mass density**: 9.5 Mg/m³
**Total energy**: -34.84 eV/atom

This record from the Materials Project database describes a relaxed structure of SmHg3. The functional is r2SCAN.

Lattice parameters (Å, degrees): 6.6980 6.6980 4.9961 90.00 90.00 120.00
Space group P6_3/mmc (No. 194)
Asymmetric unit:
Sm 0.3333 0.6667 0.2500 (multiplicity 2)
Hg 0.1636 0.3273 0.7500 (multiplicity 6)

Computed properties:
**Mass density**: 12.9 Mg/m³
**Total energy**: -44.91 eV/atom

This record from the Materials Project database describes a relaxed structure of SmTmHg2. The functional is r2SCAN.

Lattice parameters (Å, degrees): 7.4228 7.4228 7.4228 90.00 90.00 90.00
Space group Fm-3m (No. 225)
Asymmetric unit:
Sm 0.0000 0.0000 0.0000 (multiplicity 4)
Tm 0.0000 0.0000 0.5000 (multiplicity 4)
Hg 0.2500 0.2500 0.2500 (multiplicity 8)

Computed properties:
**Mass density**: 11.7 Mg/m³
**Total energy**: -41.46 eV/atom

This record from the Materials Project database describes a relaxed structure of SmYHg2. The functional is r2SCAN.

Lattice parameters (Å, degrees): 7.4840 7.4840 7.4840 90.00 90.00 90.00
Space group Fm-3m (No. 225)
Asymmetric unit:
Sm 0.0000 0.0000 0.0000 (multiplicity 4)
Y 0.0000 0.0000 0.5000 (multiplicity 4)
Hg 0.2500 0.2500 0.2500 (multiplicity 8)

Computed properties:
**Mass density**: 10.1 Mg/m³
**Total energy**: -37.77 eV/atom

~~~~~

# 1
NbO2F | GGA-PBE | optimized geometry

Output
**Raw total energy**: -64.60 eV/cell
**Calculated formation energy**: -3056 meV/atom

a = 5.5053 Å, b = 5.5053 Å, c = 5.5105 Å
α = 61.49°, β = 61.49°, γ = 57.76°
Last column: nearest neighbours and their distance in Å.
Atoms (fractional coordinates):
Nb: 0.0000 0.5000 0.0000  4 O 1.95-1.96, 2 F 2.09
Nb: 0.5000 0.0000 0.5000  4 O 1.95-1.96, 2 F 2.09
O: 0.7618 0.8214 0.7385  2 Nb 1.95-1.96
O: 0.1786 0.2382 0.7615  2 Nb 1.95-1.96
O: 0.8214 0.7618 0.2385  2 Nb 1.95-1.96
O: 0.2382 0.1786 0.2615  2 Nb 1.95-1.96
F: 0.3473 0.6527 0.7500  2 Nb 2.09
F: 0.6527 0.3473 0.2500  2 Nb 2.09


# 2
Te2Ir | GGA-PBE | optimized geometry

Output
**Raw total energy**: -79.66 eV/cell
**Calculated formation energy**: -269 meV/atom

a = 4.0301 Å, b = 6.8504 Å, c = 14.4609 Å
α = 99.33°, β = 91.75°, γ = 106.78°
Last column: nearest neighbours and their distance in Å.
Atoms (fractional coordinates):
Te: 0.7821 0.6901 0.0909  3 Ir 2.64-2.68
Te: 0.4722 0.8353 0.8896  3 Ir 2.66-2.71
Te: 0.0526 0.0515 0.6875  3 Ir 2.67
Te: 0.6280 0.2633 0.4866  3 Ir 2.68-2.70
Te: 0.2006 0.4702 0.2822  3 Ir 2.68-2.72
Te: 0.5278 0.1647 0.1104  3 Ir 2.66-2.71
Te: 0.2179 0.3099 0.9091  3 Ir 2.64-2.68
'''


Take a look around and you will see that she has a lot of resources at her fingertips. There are reference books covering many fortune telling subjects and extra potions in bottles and jars just in case someone needs a little something to take home with them after their visit.


Here’s the diminutive fortune teller herself: Madame Zola
She stands 5” tall.


A view from the side.


A view of the back.


And one more for good measure.


Now it’s time for me to get back to making more bears for the show.  Thanks again for reading!


Sunday, July 26, 2015

TBAI Gallery Piece 2015 – Interior Basics

********
1.
Material: Zr3Sc4O12
Method: DFT, PBE-GGA
State: relaxed Values from VASP.

The calculation puts the total DFT energy (no corrections) at -878.8 eV for the cell shown.

```
&SYSTEM
  ibrav = 0, nat = 95, ntyp = 3
/
ATOMIC_SPECIES
Zr 91.22 Zr.upf
Sc 44.96 Sc.upf
O 16.00 O.upf
CELL_PARAMETERS angstrom
6.204 0.000 0.000
-1.050 6.153 0.000
-0.084 -0.098 29.989
ATOMIC_POSITIONS crystal
Zr 0.000 0.000 0.000
Zr 0.008 0.175 0.325
Zr 0.119 0.646 0.261
Zr 0.173 0.875 0.575
Zr 0.201 0.200 0.199
Zr 0.210 0.378 0.524
Zr 0.325 0.847 0.461
Zr 0.374 0.074 0.775
Zr 0.410 0.578 0.724
Zr 0.525 0.047 0.661
Zr 0.601 0.778 0.924
Zr 0.723 0.247 0.863
Zr 0.798 0.975 0.125
Zr 0.918 0.446 0.063
Zr 0.973 0.674 0.375
Sc 0.016 0.313 0.631
Sc 0.071 0.538 0.937
Sc 0.187 0.012 0.880
Sc 0.213 0.512 0.830
Sc 0.271 0.737 0.137
Sc 0.393 0.213 0.080
Sc 0.396 0.393 0.400
Sc 0.415 0.706 0.030
Sc 0.473 0.941 0.338
Sc 0.570 0.290 0.974
Sc 0.583 0.408 0.280
Sc 0.596 0.593 0.601
Sc 0.616 0.906 0.231
Sc 0.674 0.141 0.539
Sc 0.769 0.490 0.175
Sc 0.776 0.607 0.481
Sc 0.796 0.793 0.801
Sc 0.815 0.113 0.431
Sc 0.873 0.341 0.739
Sc 0.976 0.807 0.681
O 0.010 0.866 0.936
O 0.011 0.862 0.438
O 0.052 0.307 0.389
O 0.057 0.297 0.887
O 0.075 0.702 0.022
O 0.086 0.691 0.517
O 0.106 0.502 0.687
O 0.115 0.510 0.186
O 0.124 0.909 0.814
O 0.126 0.881 0.316
O 0.156 0.317 0.265
O 0.186 0.335 0.766
O 0.209 0.066 0.136
O 0.211 0.063 0.638
O 0.252 0.508 0.588
O 0.255 0.493 0.087
O 0.275 0.903 0.222
O 0.287 0.891 0.717
O 0.303 0.702 0.886
O 0.312 0.708 0.386
O 0.327 0.083 0.516
O 0.328 0.110 0.013
O 0.361 0.520 0.465
O 0.378 0.541 0.966
O 0.398 0.259 0.336
O 0.410 0.261 0.838
O 0.452 0.708 0.788
O 0.454 0.694 0.287
O 0.479 0.098 0.421
O 0.491 0.092 0.918
O 0.502 0.901 0.086
O 0.512 0.908 0.586
O 0.527 0.283 0.716
O 0.528 0.309 0.214
O 0.562 0.720 0.665
O 0.577 0.741 0.166
O 0.600 0.460 0.537
O 0.609 0.459 0.038
O 0.657 0.898 0.487
O 0.659 0.889 0.990
O 0.680 0.298 0.620
O 0.692 0.291 0.118
O 0.704 0.100 0.287
O 0.711 0.107 0.786
O 0.724 0.509 0.414
O 0.728 0.489 0.915
O 0.760 0.919 0.865
O 0.785 0.935 0.366
O 0.800 0.659 0.737
O 0.809 0.660 0.238
O 0.857 0.097 0.687
O 0.860 0.088 0.190
O 0.878 0.497 0.820
O 0.888 0.489 0.317
O 0.905 0.302 0.487
O 0.915 0.309 0.986
O 0.924 0.709 0.614
O 0.927 0.688 0.116
O 0.954 0.116 0.065
O 0.986 0.135 0.566
```

***

2.
Material: BaTbO3
Method: DFT, PBE-GGA
State: relaxed Values from VASP.

The calculation puts the total DFT energy (no corrections) at -69.9 eV for the cell shown.

```
&SYSTEM
  ibrav = 0, nat = 10, ntyp = 3
/
ATOMIC_SPECIES
Ba 137.33 Ba.upf
Tb 158.93 Tb.upf
O 16.00 O.upf
CELL_PARAMETERS angstrom
-3.115 3.115 4.482
3.115 -3.115 4.482
3.115 3.115 -4.482
ATOMIC_POSITIONS crystal
Ba 0.250 0.750 0.500
Ba 0.750 0.250 0.500
Tb 0.000 0.000 0.000
Tb 0.500 0.500 0.000
O 0.191 0.691 0.883
O 0.250 0.250 0.000
O 0.309 0.191 0.500
O 0.691 0.809 0.500
O 0.750 0.750 0.000
O 0.809 0.309 0.117
```

***

3.
Material: HfO2
Method: DFT, PBE-GGA
State: relaxed Values from VASP.
********

I molded, painted and finished the exterior of the tree stump before I began on the interior. One of the main reasons I chose this order was because I am very messy when I use paper mâché. That also goes for paint. I think I am being very careful but I still manage to smear it somewhere. And even sometimes it is intentional, especially if I am in the middle of painting something critical and have no time to grab a cloth or towel to wipe my hands or a brush. Thankfully, I am not alone in this. I have watched artists paint and they often wipe the brush on the back of their hand or on something close by. Anywho . . .

As for the interior, I knew I needed to place lights I wanted to use before I proceeded and that involved determining how I wanted the ceiling to look. The shimmery fabric was just the thing so I started with that and then moved onto the lights.

Here you can see the unfinished floor. This is before I added the stirring stick ‘hardwood’ floor. It looks a little strange with the bump out on the edge and the rectangle cut out for the battery pack but that’s how it goes in the early stages.

I knew shelving would be an integral part of this piece. It’s just a little bit more complicated when the wall is curved. If you notice, the shelf brackets are made from quartered wood slices. I’m not sure there is an easy way to saw a tiny wood slice into quarters, but I only had to do two so there was an end in sight from the beginning.

The following photo shows the lights in place, the shelves in place and the flooring finished. The next part is populating it with the fun details.

I try to do a dry run before I start finishing the details. Arranging bottles and knickknacks where I think they should go before I fill bottles and label them saves me from spending too much time working on pieces I won’t be using.

By now, you probably have an idea of where this is going, right? Next time, I will be posting photos of the piece in its entirety.

Thanks for reading!


Wednesday, July 22, 2015

TBAI Gallery Piece 2015 – Elements

Transformations are my thing, but I think that is the nature of creativity. These very involved and detailed projects which I love to do are often comprised of many, many little projects. I have learned to go with the flow and forget about what each may involve. I have accepted that they are all part of the process.

These ribbons are my color scheme but they weren’t my intention at the start. I really didn’t have a plan.

On the other hand these coffee stirring sticks were part of my plan from the beginning. In fact, maybe I needed an excuse to use them and created this whole project on that basis!

It was a fairly straight forward process to turn them into a wood floor. Just the look I was going after and the fact that it turned out as planned was a nice bonus.  That hardly ever happens.

I turned this piece of steel wire to make a decorative hanger. It was an experiment that resulted in very sore fingers. I learned something. I’ll wear gloves next time.

Another transformation involved this small brass lantern. Loved the shape but the color was a bit too polished and shiny for my project.

First I painted it with a copper paint.

Then I used that magical solution that creates a copper patina. It takes a bit of time but eventually,

I got an effect like this:

And here you see the lantern on the lantern hanger.

Next up: the interior of the tree stump.  Yes, it was a tree stump.  I’m relieved that it was fairly easy for you to guess!

Until next time,


Sunday, July 19, 2015

TBAI Gallery Piece 2015 Start

Hello there. Does it seem like I have just now crawled out from under a rock? It almost feels that way but a lot of things have been going on so rock or not, here I am again.

I have finished my gallery piece for TBAI (Teddy Bear Artist Invitational) which takes place in August. I haven’t yet taken photos of the entire completed piece, but I do have photos of the piece in progress.

This post shows the primary structure I created from a paper mâché box.  Here it is before I started to work with it.


Here I have cut out the basic shape the way I wanted it and added some additional base material and features around what will be the back.

Then I began to add a mixture of paper mâché for texture and stability. 

This is a view from the top.

I added some additional details and cut a utilitarian rectangle in the base.  I try to anticipate where I want to go and then it often requires working backwards from there.


I added more paper mâché, drying each section over several days

as you can see in the photo below: another layer.

Another point of view, the basic structure is complete.

The following shows the first layer of paint.  Many more followed as I tweaked the colors.  I delved into mixing colors, adding, covering, drying, and doing it all over again and again.

I got off track with the photos after this section. I got caught up in many little details while the camera languished at my elbow as I went further and further down the rabbit hole.

Can you tell what is it yet?  Next time, I will share a few photos of the progress of the interior.

Thanks for reading!!!
